Presentation of ISIS Valdarno, S. Giovanni Valdarno, Italy

  • ISIS “Valdarno”, S. Giovanni Valdarno, Tuscany, Italy

    viale Gramsci 77/A - 52027 San Giovanni Valdarno (AR) Tel. 055.9122078 - Fax: 055.942118 - Web: e-mail: PEC: -


    The State School for secondary Education "Valdarno", therefore, was estabilshed on 1 September 2013 from the merger of the I.S.I.S. "G. Marconi "(already the result of a previous union between the then I.P.S.I.A." G. Marconi "and the I.T.C." F. Severi ") with I.T.I.S. "G. Ferraris ".

    These are three schools that, although located on the same town of S. Giovanni Valdarno, a few meters from each other, differ substantially in their history and in the peculiarity of their respective study programs.



    The Institute as a whole is able to provide a wide range of training: from the Business and administration and tourism at the Economics Technical School, to IT, chemical, electronic-electro-technical expert of the Technical School, to the course of studies for Maintenance and Technical Assistance Technician (electrical-mechanical) or Fashion designing and manifacturing experts at the vocational school.

    In recent years ISIS "Valdarno" has enriched its training offer by developing specializations within its study paths such as the study curriculum for Sports facilities and businesses administration experts and the Robotics expert in the area of Electronics and electrical engineering.

    For the next school year the institute has activated two new addresses for the Technical Technological Institute: Mechanics, Mechatronics and Energy and the Fashion System.

    Since 2014, the institute has been the leading school of the "Oro e Moda" Professional Technical Center, which includes IS.SI. "Margaritone" school of Arezzo, Liceo Artistico "Piero della Francesca of Arezzo" and the Liceo "Giovagnoli" of Sansepolcro.

    The three schools in the past and Istituto Superiore "Valdarno" today are a consolidated in the socio-economic-cultural context of San Giovanni Valdarno and the neighboring municipalities. The work accomplished to date has contributed, on the one hand, to training young people who have occupied and occupy important and qualified positions in the world of work, and on the other, to provide a solid basic education that allows students access to any university faculty.

    In particular, the profession of the manufacturing technician has always been at the center of the structure of the educational programs and methodologies of “G. Ferraris "which has, in fact, always formed professional figures with a good general cultural background and an in-depth knowledge of technological disciplines - from electronics to chemistry, to computer science.

    For "F. Severi ”, always, the cultural, naturalistic and economic realities of Tuscany, are the object of study and research in local and European projects. The introduction of the ITER course for tourism has also allowed the school to combine its traditional Technical-Commercial curricula with the Technical Tourism specialization, which is closely connected with the administrative area.

    Vocational school "G. Marconi ”, which has existed for several decades with its Mechanical, Electric / Electronic and Fashion sectors, has formed many students over the years, who have then entered the world of work in the Valdarno area.

**What comes next are data records, not part of the article:**
-- begin --
No. 1
The following is a DFT calculation (ωB97M-V/def2-TZVPD) of C42H99N5O24S6 as an isolated structure.

Geometry as ORCA input:
```
! wB97M-V def2-TZVPD RIJCOSX def2/J DEFGRID3
* xyz -1 2
C -36.047 -6.242 -21.031
C -35.654 -7.590 -20.319
N -36.803 -8.441 -20.066
C -37.774 -7.864 -19.046
C -37.280 -7.634 -17.671
C -36.300 -9.822 -19.790
C -37.422 -10.829 -19.353
H -36.685 -5.632 -20.393
H -36.606 -6.477 -21.937
H -35.174 -5.606 -21.182
H -34.978 -8.096 -21.009
H -35.078 -7.247 -19.459
H -38.089 -6.925 -19.501
H -38.640 -8.525 -19.069
H -38.007 -7.098 -17.060
H -37.110 -8.620 -17.239
H -36.367 -7.040 -17.710
H -35.651 -9.686 -18.925
H -35.662 -10.168 -20.604
H -37.049 -11.847 -19.247
H -38.217 -10.986 -20.082
H -37.934 -10.520 -18.442
C -34.575 -14.343 -13.054
C -36.016 -14.321 -13.601
N -36.045 -14.344 -15.052
C -37.364 -14.904 -15.403
C -38.469 -13.966 -15.070
C -35.666 -13.026 -15.668
C -35.359 -13.257 -17.158
H -34.424 -14.858 -12.105
H -34.035 -13.405 -12.930
H -33.965 -14.908 -13.759
H -36.648 -15.054 -13.099
H -36.453 -13.355 -13.348
H -37.435 -15.049 -16.481
H -37.675 -15.849 -14.957
H -39.436 -14.430 -15.263
H -38.522 -13.550 -14.064
H -38.373 -13.114 -15.744
H -34.709 -12.638 -15.318
H -36.468 -12.290 -15.616
H -36.198 -13.620 -17.752
H -34.541 -13.952 -17.345
H -35.090 -12.277 -17.552
C -42.756 -6.883 -16.344
C -41.885 -8.151 -16.525
N -42.623 -9.443 -16.436
C -42.937 -9.632 -15.028
C -43.890 -10.837 -14.906
C -41.853 -10.585 -17.093
C -40.600 -11.043 -16.413
H -43.618 -6.889 -17.011
H -42.074 -6.060 -16.557
H -43.029 -6.753 -15.297
H -41.464 -8.060 -17.527
H -41.050 -8.114 -15.826
H -42.115 -9.871 -14.353
H -43.575 -8.825 -14.668
H -44.327 -10.867 -13.908
H -44.730 -10.818 -15.599
H -43.446 -11.801 -15.157
H -41.476 -10.367 -18.092
H -42.418 -11.483 -17.342
H -40.079 -11.862 -16.909
H -40.937 -11.512 -15.489
H -39.850 -10.285 -16.186
C -28.345 -15.764 -15.683
C -28.616 -15.668 -14.220
N -28.345 -14.253 -13.612
C -29.203 -13.137 -13.962
C -30.685 -13.564 -13.785
C -27.001 -13.746 -13.671
C -26.102 -14.636 -12.870
H -28.423 -16.817 -15.954
H -27.343 -15.387 -15.886
H -29.044 -15.123 -16.220
H -29.636 -16.029 -14.083
H -27.995 -16.388 -13.688
H -29.031 -12.829 -14.993
H -28.941 -12.192 -13.487
H -30.892 -14.533 -14.240
H -31.429 -12.830 -14.096
H -30.905 -13.681 -12.724
H -26.561 -13.649 -14.664
H -26.890 -12.803 -13.136
H -25.915 -15.569 -13.403
H -25.111 -14.221 -12.683
H -26.561 -14.839 -11.902
C -36.327 -16.596 -20.079
C -35.258 -17.390 -20.834
N -35.684 -18.746 -21.052
C -34.531 -19.691 -21.021
C -34.655 -20.909 -20.119
C -36.306 -18.854 -22.411
C -37.108 -20.108 -22.628
H -37.276 -16.513 -20.610
H -35.999 -15.572 -19.901
H -36.637 -17.109 -19.169
H -34.943 -16.851 -21.727
H -34.336 -17.442 -20.255
H -34.203 -20.094 -21.979
H -33.638 -19.214 -20.617
H -35.486 -20.750 -19.432
H -34.842 -21.729 -20.812
H -33.789 -21.085 -19.480
H -35.637 -18.872 -23.271
H -36.971 -18.016 -22.622
H -36.412 -20.946 -22.643
H -37.822 -20.203 -23.446
-- stop --

    In fact, there are many prestigious companies and numerous local companies, which have hired graduates specializing in our schools, which, for years, has presented evening courses in its training offer and has also included in its own courses the training vocational courses managed by the Region of Tuscany (IeFP).





    The structural endowment of our Institute is as follows:

    Special classrooms:


    • equipped room for videoconferences

    • 3 classrooms for receiving parents equipped with multimedia stations

    • classrooms for the C.I.C. (Student Information Center)

    • all classrooms are equipped with a multimedia station, mostly with a projector or LIM





    • 7 of computer science

    • 2 of chemistry

    • 3 of physics

    • 2 of electronics

    • 1 in electrical engineering

    • 1 of electrical and electronic measurements

    • 2 of electrical installations

    • 2 adjustment for mechanical processing

    • 1 welding

    • 2 machine tools

    • 1 work station and CNC lathe

    • 1 in fashion and costume (with CAD program)

    • 1 cutting and packaging exercise for fashion designer

    • 1 equipped with laser marker


    Library, gym, outdoor spaces:


    • gym

    • library

    • video store

    • large fenced areas for parking and/or outdoor activities


    Technological endowments:

    • LAN networks are wired

### Attached: molecular data
-- begin --
1.
This record from the OMol25 dataset describes an isolated molecule of C6H12O. The level of theory is ωB97M-V/def2-TZVPD.

```
19
Properties=species:S:1:pos:R:3:lowdin_charge:R:1
C 2.617 0.628 0.041 -0.110
O 1.581 0.590 0.996 -0.190
C 0.608 -0.423 0.856 -0.153
C -0.713 -0.127 0.018 -0.453
C -0.880 1.339 -0.209 -0.044
C -1.292 -1.087 -1.034 -0.097
C -1.874 -1.020 0.349 -0.116
H 2.218 0.682 -0.980 0.085
H 3.282 -0.249 0.119 0.090
H 3.210 1.533 0.227 0.091
H 0.845 -1.215 0.187 0.105
H 0.322 -0.655 1.886 0.132
H -0.036 1.724 -0.797 0.081
H -0.862 1.836 0.764 0.090
H -1.808 1.563 -0.735 0.083
H -0.800 -2.012 -1.342 0.097
H -1.894 -0.659 -1.840 0.099
H -1.676 -1.879 0.993 0.105
H -2.849 -0.570 0.503 0.103
```

## Properties
- HOMO-LUMO gap: 0.3844 Ha
- Relative energy (zero: lowest compared OMol25 entry of this formula, charge and spin): 222.3 kJ/mol
- Multiplicity: 1
- SMILES: COCC1(C)CC1

2.
This record from the OMol25 dataset describes an isolated molecule of C6H12O. The level of theory is ωB97M-V/def2-TZVPD.

```
19
Properties=species:S:1:pos:R:3:lowdin_charge:R:1
C 2.301 -1.130 -0.072 -0.119
C 0.818 -1.269 0.266 -0.261
C 0.244 0.027 0.868 -0.187
C -1.210 0.265 0.524 -0.245
C -1.715 1.664 0.260 -0.061
C -1.543 0.713 -0.876 -0.347
O -0.498 1.003 -1.761 -0.015
H 2.440 -0.331 -0.810 0.072
H 2.885 -0.859 0.814 0.074
H 2.725 -2.054 -0.478 0.069
H 0.666 -2.106 0.960 0.107
H 0.259 -1.534 -0.642 0.100
H 0.827 0.881 0.504 0.112
H 0.378 -0.002 1.957 0.117
H -1.923 -0.420 0.982 0.137
H -0.994 2.477 0.309 0.114
H -2.723 1.929 0.565 0.101
H -2.439 0.309 -1.349 0.141
H -0.141 0.161 -2.072 0.089
```

## Properties
- HOMO-LUMO gap: 0.3902 Ha
- Relative energy (zero: lowest compared OMol25 entry of this formula, charge and spin): 119.3 kJ/mol
- Multiplicity: 1
- SMILES: CCC[C@H]1C[C@H]1O

3.
This record from the OMol25 dataset describes a cluster of 2 separate species, C6H12O in total. The level of theory is ωB97M-V/def2-TZVPD.

```
19
Properties=species:S:1:pos:R:3:lowdin_charge:R:1
C 3.289 0.354 0.526 -0.112
C 1.968 0.260 1.261 -0.248
C 0.694 0.066 0.470 -0.326
C 0.708 0.044 -0.856 0.049
C -1.544 -0.816 0.927 0.017
C -0.453 -0.217 1.388 -0.134
H 3.716 -0.639 0.392 0.077
H 4.022 0.793 1.207 0.072
H 3.188 0.882 -0.408 0.059
H 1.774 1.175 1.843 0.118
H 2.048 -0.515 2.022 0.111
H -0.077 0.080 -1.593 0.060
H 1.683 -0.010 -1.362 0.056
H -2.478 -1.080 1.415 0.053
H -1.570 -1.182 -0.093 0.054
H -0.268 0.162 2.376 0.094
H -3.774 -0.356 -3.448 0.030
H -4.458 -0.117 -2.095 0.034
O -3.871 0.293 -2.745 -0.065
```

## Properties
- HOMO-LUMO gap: 0.3521 Ha
- Relative energy (zero: lowest compared OMol25 entry of this formula, charge and spin): 191.3 kJ/mol
- Multiplicity: 1
- SMILES: C=CC(=C)CC.O

4.
This record from the OMol25 dataset describes an isolated molecule of C6H12O. The level of theory is ωB97M-V/def2-TZVPD.

```
19
Properties=species:S:1:pos:R:3:lowdin_charge:R:1
C 2.292 -0.640 -0.369 -0.104
O 1.244 -0.824 0.542 -0.155
C 0.349 0.220 0.817 -0.318
-- stop --

    • wireless LAN networks